Work order.
Search the entries underneath for the word "Br1" and duplicate each line that has it.

Excerpt.
********
1.
Below is C30H37Br2Cl3F4FePSi2 as an isolated structure, with properties calculated with ωB97M-V/def2-TZVPD.

Calculated values
Gap between HOMO and LUMO (alpha / beta)   8.5 / 6.2 eV
Spin multiplicity   6
Charge   +2
LUMO (alpha / beta)   -5.63 / -8.21 eV
<S²>   8.76

Each line ends with the natural charge from an NBO analysis.
Geometry (Å):
Fe1 -0.2966 0.1569 -0.0590  1.18
F1 -6.2490 -3.1878 1.2645  -0.24
C1 -5.3550 -2.2296 1.1904  0.32
C2 -5.5618 -1.0282 1.8444  0.34
F2 -6.6637 -0.8337 2.5362  -0.25
C3 -4.6005 -0.0306 1.7589  0.36
F3 -4.8489 1.1139 2.3847  -0.28
C4 -3.4204 -0.1905 1.0454  -0.45
P1 -2.2418 1.1921 0.9267  0.80
C5 -3.1665 2.4010 -0.0465  -0.29
C6 -3.4367 2.0525 -1.3716  -0.23
C7 -4.2276 2.8733 -2.1553  -0.19
C8 -4.7312 4.0572 -1.6280  -0.17
C9 -4.4501 4.4122 -0.3174  -0.19
C10 -3.6738 3.5826 0.4815  -0.20
C11 -1.9170 1.8089 2.5870  -0.42
C12 -1.3020 3.0563 2.7083  -0.16
C13 -0.9541 3.5363 3.9613  -0.20
C14 -1.1944 2.7664 5.0913  -0.17
C15 -1.7749 1.5112 4.9691  -0.19
C16 -2.1332 1.0287 3.7199  -0.19
C17 -3.2603 -1.4035 0.3694  -0.12
Br1 -1.7932 -1.7897 -0.7992  0.16
C18 -4.2000 -2.4117 0.4367  0.31
F4 -4.0348 -3.5519 -0.2141  -0.27
H1 -3.0430 1.1311 -1.7915  0.21
H2 -4.4537 2.5914 -3.1752  0.23
H3 -5.3519 4.6998 -2.2381  0.24
H4 -4.8482 5.3298 0.0939  0.24
H5 -3.4972 3.8485 1.5148  0.23
H6 -1.0951 3.6590 1.8306  0.22
H7 -0.4964 4.5120 4.0550  0.24
H8 -0.9265 3.1437 6.0691  0.24
H9 -1.9572 0.9096 5.8494  0.24
H10 -2.5862 0.0479 3.6396  0.22
C19 3.3671 4.2759 -4.6644  -0.62
C20 2.6390 3.7431 -3.4030  -0.68
C21 2.1731 4.9436 -2.5658  -0.61
C22 3.6435 2.9564 -2.5445  -0.61
Si1 1.2071 2.7271 -4.0859  2.29
Br2 0.5525 1.4549 -1.8251  -0.49
C23 -0.4541 3.5807 -4.3617  -0.69
C24 -1.0339 4.3122 -3.1366  -0.60
C25 -1.5259 2.5968 -4.8526  -0.61
C26 -0.1915 4.6329 -5.4695  -0.62
C27 1.6176 1.2225 -5.1454  -0.68
C28 1.5772 1.7472 -6.6030  -0.62
C29 3.0212 0.6674 -4.8587  -0.61
C30 0.6358 0.0451 -5.0184  -0.61
H11 4.1774 4.9316 -4.3354  0.24
H12 2.7199 4.8685 -5.3133  0.22
H13 3.8163 3.4825 -5.2612  0.22
H14 3.0600 5.4583 -2.1886  0.23
H15 1.5734 4.6455 -1.7042  0.21
H16 1.6091 5.6694 -3.1498  0.22
H17 4.4331 3.6492 -2.2430  0.23
H18 4.1200 2.1345 -3.0723  0.23
H19 3.1878 2.5660 -1.6343  0.21
H20 -1.1491 3.6632 -2.2679  0.21
H21 -2.0324 4.6664 -3.4063  0.22
H22 -0.4551 5.1823 -2.8438  0.22
H23 -1.7346 1.8156 -4.1182  0.21
H24 -1.2699 2.1232 -5.7991  0.22
H25 -2.4504 3.1570 -5.0153  0.22
H26 0.5178 5.3988 -5.1558  0.22
H27 -1.1362 5.1391 -5.6851  0.24
H28 0.1627 4.1979 -6.4046  0.23
H29 2.2607 2.5813 -6.7768  0.23
H30 0.5782 2.0499 -6.9144  0.22
H31 1.8901 0.9343 -7.2631  0.24
H32 3.8152 1.3888 -5.0442  0.22
H33 3.1934 -0.1775 -5.5296  0.23
H34 3.1155 0.2978 -3.8362  0.21
H35 -0.3831 0.2923 -5.3071  0.22
H36 0.6194 -0.3656 -4.0091  0.21
H37 0.9802 -0.7475 -5.6871  0.23
Cl1 0.3230 -1.0741 2.0358  -0.36
Si2 2.1474 0.0744 1.9152  1.06
Cl2 2.0768 1.4504 3.3743  -0.27
Cl3 3.6728 -1.2185 2.0371  -0.26

***

2.
Below is C30H37BrN5O2PS2Sc as an isolated structure, with properties calculated with ωB97M-V/def2-TZVPD.

Calculated values
Gap between HOMO and LUMO   6.8 eV
Relative energy (zero: lowest compared OMol25 entry of this formula, charge and spin)   109.5 kJ/mol
Charge   +1
LUMO   -3.70 eV

Each line ends with the Löwdin charge.
Geometry (Å):
Sc1 -1.0877 -0.0953 -0.8372  0.73
C1 -0.7670 4.1494 -4.5301  -0.41
S1 -2.3954 3.7063 -3.9076  0.90
C2 -2.1355 2.2640 -2.9515  -1.07
S2 -0.5840 1.5508 -2.7885  0.68
N1 -3.2475 1.8791 -2.3698  -0.09
N2 -3.0743 0.7687 -1.5863  -0.10
C3 -4.1510 0.2760 -1.0840  -0.05
C4 -4.0607 -0.9948 -0.3639  -0.25
C5 -5.1872 -1.6578 0.1020  0.01
C6 -5.0334 -2.9304 0.6324  -0.02
C7 -3.7730 -3.5005 0.6678  -0.02
C8 -2.6919 -2.7592 0.2137  -0.14
N3 -2.8236 -1.5267 -0.2740  0.00
H1 -0.7962 5.2221 -4.7075  0.04
H2 0.0074 3.9347 -3.7999  0.00
H3 -0.5431 3.6321 -5.4590  0.04
H4 -5.1154 0.7260 -1.3025  0.14
H5 -6.1582 -1.1915 0.0217  0.13
H6 -5.8948 -3.4747 0.9929  0.12
H7 -3.6132 -4.5010 1.0406  0.12
********

Result.
Br1 -1.7932 -1.7897 -0.7992  0.16